Brief:
Your job: start at the top of the data further below and transcribe each line, ending with the one that has "-0.41".

Listing:
-- begin --
8
Properties=species:S:1:pos:R:3:forces:R:3:nbo_charge:R:1 method="wB97M-V/def2-TZVPD" homo_lumo_gap_ha=0.28679 e_above_lowest_kcal_mol=96.9 e_homo_ev=-10.611 energy_ev=-11657.6306
N -0.382 1.127 0.805 -0.278 -1.300 -1.375 0.00
C 0.555 -0.612 -0.462 -0.462 1.448 2.464 0.83
O 1.354 -0.265 0.631 0.317 1.081 -0.993 -0.41
H -2.845 0.254 0.692 2.596 -0.942 -3.943 0.44
N -0.572 0.138 -0.108 -3.969 0.951 -0.828 -0.07
O 0.683 -1.303 -1.414 0.566 -0.347 0.422 -0.52
N 0.732 1.040 1.286 0.968 -2.315 -0.663 0.16
O -1.904 -0.022 -0.692 0.262 1.422 4.917 -0.43
-- stop --

Solution:
8
Properties=species:S:1:pos:R:3:forces:R:3:nbo_charge:R:1 method="wB97M-V/def2-TZVPD" homo_lumo_gap_ha=0.28679 e_above_lowest_kcal_mol=96.9 e_homo_ev=-10.611 energy_ev=-11657.6306
N -0.382 1.127 0.805 -0.278 -1.300 -1.375 0.00
C 0.555 -0.612 -0.462 -0.462 1.448 2.464 0.83
O 1.354 -0.265 0.631 0.317 1.081 -0.993 -0.41